Thursday, December 31, 2020

More Lunacy

One year wasted ... honestly, it was a complete waste and now with the advent of a vaccine people think it is a magic bullet that will solve the entire situation in the blink of an eye.  Yeah, how well has that worked in the past.  How many people STILL do not get the flu vaccine?  And when it rushing a vaccine a good idea?  When is rushing anything medical a good idea?  Thank you, but no thank you.  I have not been sick for any reason at all so I am not in any rush to take it.  Let everyone else be the human trial subjects.

The fact that there has been no meaningful evaluation of the measures being taken shows how worthless it all has been; how much of a waste of time.  Also, the lack of consistency in the policies calls into question their validity.  I say it again.  When has any of this idiocy been done in the history of humanity?  To quote Dr. Leonard McCoy, "We're dealing with medievalism ... "

Sunday, September 06, 2020

The stupidity continues

Honestly, the people in charge in Hawaii don't have a clue. They can't even define a goal that's reasonable and achievable.  "Stop the spread"?  What the heck kind of goal is that?  It started out as "don't overwhelm the healthcare facilities" which is not an unreasonable goal, but they were never in any danger of being overwhelmed and are still not in any danger.  Sure, the number of cases (and what the heck is the definition of a case anyway?  Does anyone know?) is rising quickly, but the number of hospitalizations and deaths is not.  Those rates are relatively flat and manageable, so what in the name of all that is holy are we still doing to ourselves.

I feel like the last sane person in the State of Hawaii.  I'm not really sure why I find this whole mask debacle so patently offensive.  It galls me way more than the ridiculous airport policies that were put in to deal with stuff in the aftermath of 9/11 which is a faded memory for many people unfortunately, however, I still doubt the effectiveness or necessity of such measures.

Analysis of the policies is what is missing and what should done.  What worked, what didn't work, what can be done to change what didn't work into what does work.  Those are the things that need to be addressed after a certain amount of time, and 3-6 months of the latest policies I think is a sufficient amount of time to say whether or not any of it was worth doing.  But, no, the State government is incompetent and thinks that if they do more of something that doesn't work it'll eventually work, damn the consequences and who it screws over.

Life is not safe.  Life is unpredictable. Stuff happens that is beyond our control and you deal with it the best you can.  This obsessively unreasonable attitude people have about getting sick is beyond my comprehension.  What people are doing now is not living.  We are in the most beautiful place in the world and people are so damn scared of getting sick they can't enjoy it and live their lives.

Tuesday, August 04, 2020

What in the name of all that is holy are we doing to ourselves?

I found a really cool website that has all the covid data for Hawaii that you can download in a number of different ways.  I pulled the fatalities, active cases, cumulative total and hospitalizations, then graphed the in one chart.

The fatalities is pretty much a flat line.  Hawaii has 27 fatalities as of 8/4/2020, and at least 21 of those are over 65.  The hospitalized number is pretty much a flat line as well.  Hawaii broke 200 hospitalized, but I don't know if those are concurrent or not.

From what the graph shows, Hawaii is now experiencing its first wave.  All the people in charge did was postpone it until now.  Way to go.

Honestly, WHAT THE HECK ARE PEOPLE FREAKING OUT ABOUT?!?!  We had more traffic fatalities in 2019 than covid deaths.  Are we all supposed to stop driving now?  Instead of trying to alleviate the public fear and get things back towards normalcy, the powers that be are just keeping the fear porn hot and heavy.

Hawaii's Lt. Governor proposed locking the state down because the numbers are spiking.  All I have to say to him is, "You rat bastard."

Monday, July 13, 2020

3 Day Juice Cleanse

So I agreed to do a 3-day juice cleanse with my wife to support her.  She participated with me when I did the Ornish program a few years back so it seemed only fair.  Eating normal meals when she is only drinking juice seems mean on top of not being fair.  Granted the cleanse is entirely voluntary, but regardless of that, the "unfairness" perception and feeling is still real.

Anyway, this post will journal the 3-days since I'm pretty sure I'll forget how I felt.

7/13/2020 8:30 AM - Day 1, Juice bottle #1
This one was like drinking almond milk and that makes sense since the main ingredient was almond milk.  It wasn't overly sweet and nutty in flavor.

7/13/2020 10:50 AM - Day 1, Juice bottle #2
This one was perplexing.  It had a strong apple flavor, but other flavors mixed in that I can't place hence the "perplexing" word.  It wasn't bad, but it makes me ponder.  30 minutes later I'm burping cucumber.

7/13/2020 12:50 PM - Day 1, Juice bottle #3
This is another one that makes me go "huh ... that was interesting".  I could taste the apple and maybe the ginger, but couldn't taste the carrot and kale which is probably good considering the second (I'm not a kale fan).  Not feeling any caffeine withdrawal symptoms which I'm thankful for.  Still so far, so good.

7/13/2020 3:40 PM - Day 1, Juice bottle #4
This one is a repeat of juice #2, but this time the "spice" was more noticeable.  I'm still "perplexed" by the taste, but still in the middle of the road with regards to judgement.  I don't dislike it, but don't exactly like it either.

7/13/2020 5:45 PM - Day 1, Juice bottle #5
This one I liked.  It was what I would expect when I hear the word "juice".  Apple, pineapple, and lemon with some mint.  It wasn't overly sweet either, though, I wouldn't have minded it being sweeter.

7/13/2020 8:00 PM - Day 1, Juice bottle #6
This one I liked, too, but not as much as the more fruity bottle #5.  It was a good chocolate shake type drink; not too sweet and not too thick.  I would put this one in the 2nd place slot if I had to rank these juices.

7/14/2020 9:30 AM - Day 2, Juice bottle #1
Today this one seemed a little thicker, but that could be because I shook the bottle a little longer before drinking.  This one is my third favorite one so far and a good way to start the day.

7/14/2020 11:30 AM - Day 2, Juice bottle #2
I could taste the cucumber more this time, but it wasn't very strong, mostly noticeable.  I burped cucumber again and the word "perplexing" is still appropriate.

7/14/2020 2:00 PM - Day 2, Juice bottle #3
I liked this bottle better today than yesterday.  I don't know if it's because I liked the taste more or was hungry.  This one is #4 in my list of juices in this cleanse.

7/14/2020 4:00 PM - Day 2, Juice bottle #4
I didn't particularly like this one today.  I definitely tasted the cucumber and the ginger was very strong.  I gulped it down as fast as I could so I wouldn't taste it as much and get it over with.  Definitely my least favorite of the juices.

7/14/2020 6:00 PM - Day 2, Juice bottle #5
My favorite one hands down.  This one definitely good to end the day on and what I think about when talking about juicing.  Drank this one quickly, too, like the previous juice, but quickly because I really like the taste.

7/14/2020 8:00 PM  - Day 2, Juice bottle #6
Nice way to end the day.  I do enjoy a chocolate milkshake at the end.  It makes the entire day of other juices turnout good.  Yes, it's not really a chocolate shake, but it's close enough to it for me.

7/15/2020 8:00 AM - Day 3, Juice bottle #1
Last day of juices.  I have to say I haven't been dreading the juices like I thought I would.  I'm not looking forward to it per se, but there's not feeling of dread or anxiety with the juices.

7/15/2020 10:00 AM - Day 3, Juice bottle #2
I have to admit I felt some anticipation with this one, in a good way, probably because I know it's the last day and this is the second to the last green juice I have to drink.  It actually isn't too bad, but I still wouldn't say I like it.

7/15/2020 12:00 PM - Day 3, Juice bottle #3
I have to say I decided I like this one rather than just be neutral.  It's drinking carrot juice for the most part and I went past the "got used to it" stage into the "I guess I kinda like it" stage.  Not looking forward to the next one, though.

7/15/2020 2:00 PM - Day 3, Juice bottle #4
It's official, I don't like this particular one.  I think it's the ginger that's included in this juice that I don't like.  Actually, it's the burping cucumber that I really don't like.  *laugh*

7/15/2020 4:15 PM - Day 3, Juice bottle #5
I'm taking my time drinking this one, my favorite one.  I noticed a little bit of tang this time, but that's probably because I'm savoring it.  The other days I drank it quickly because it tasted really good.  Funny how that means I'm always gulping down the juice ... if I don't like the taste it's because I want to get it over with, but if I like the taste it's because I'm wolfing it down.  Well, at least this time I'm taking my time a little bit to enjoy the juice.

7/15/2020 6:30 PM - Day 3, Juice bottle #6
It's chocolate milk time.   It's not really, but it sure tastes like it and I'm enjoying it.  Well, it actually is when I think about it.  Chocolate flavored almond milk is chocolate milk even though it's not regular milk.  This is the last of the juices in this 3-day cleanse and quite a nice way to finish.

Take away
It wasn't a bad experience and I dropped a few pounds, though I didn't really do this for any kind of weight loss.  That loss could very well be water loss which is just fine, too.  It does give me a place to start to get on a portion control habit; not eating until I'm full or sick, but just enough to be comfortable.  Basically, stop eating before I get full and don't go back for seconds or thirds.  No more Hobbit style eating for me.

Monday, July 06, 2020

Thoughts on July 4th

I have to admit that I haven't read up on important figures from American history beyond the most well known ones.  I don't remember when I started reading the Declaration of Independence and Constitution (this one takes a while to get through) along with the Bill of Rights, but this year I started looking at speeches that people made on or about the 4th of July.

I listened to Dr. Martin Luther King, Jr.'s July 4th, 1965 speech

I listened to Frederick Douglas' July 5, 1852 speech

I listened to Calvin Coolidge's July 4, 1926 speech

Dr. King called for having the right attitude as we move into the future and denounced any race to be raised above any other.  He said he was convinced that black supremacy was as dangerous as white supremacy.  He did not want one tyranny to be replaced with another.

These speeches talked about the greatness of the American Dream and how much good this country has done.  Of course Frederick Douglas denounced slavery because it was an evil injustice, but one that was taken are of.  He also praised the Founding Fathers for the ideals they had and the direction he wanted things to go.

I admit that I never paid much attention to Calvin Coolidge, but after hearing and reading his speech on the 150th anniversary of the Declaration of Independence I have a new understanding and appreciation for our 30th President and the wisdom he had.

Every year brings new knowledge and every year brings new appreciation for this great country.  Yes, there were problems in the beginning, but I challenge anyone to show me a country that had a perfect start.  A country that starts out perfect only has downhill to go.  The United States of America is not great in and of itself and it is not perfect.  The United States of America is great because of the ideals that were instilled in its creation and the mechanism it has to improve and grow.  And it does grow and mature and improve as long as it remembers its history and those ideals

Someone pasted materials data at this point.
........
1.
Diffraction record for BaLaTiCrO6. The powder diffractogram is computed, not measured: it uses the PBE+U geometry in the Materials Project and Cu Kα X-rays.

Top 7 peaks for 5° ≤ 2θ ≤ 70°, by angle:
2θ (°)	I/Imax	(hkl)
22.32	17	2 0 0
31.78	100	2 2 0
39.18	23	2 2 2
45.56	34	4 0 0
51.30	9	4 2 0
56.61	38	4 2 2
66.40	20	4 4 0

Lattice parameters (Å, degrees): 7.965 7.965 7.965 90.00 90.00 90.00
Space group F-43m (No. 216)
Unique sites:
Ba 0.000 0.000 0.000 [4 per cell]
La 0.000 0.000 0.500 [4 per cell]
Ti 0.250 0.250 0.750 [4 per cell]
Cr 0.250 0.250 0.250 [4 per cell]
O 0.002 0.250 0.750 [24 per cell]

2.
Diffraction record for Ba3La2Ti3Cr2O15. The powder diffractogram is computed, not measured: it uses the PBE+U geometry in the Materials Project and Cu Kα X-rays.

Top 12 peaks for 5° ≤ 2θ ≤ 70°, by angle:
2θ (°)	I/Imax	(hkl)
22.27	27	1 5 0
31.53	26	2 0 0
31.70	100	1 5 1
31.87	24	0 10 0
38.94	18	2 0 1
39.22	17	0 10 1
45.44	50	0 0 2
56.25	19	3 5 1
56.35	10	2 0 2
56.56	9	0 10 2
56.68	18	1 15 1
66.21	20	2 10 2

Lattice parameters (Å, degrees): 5.675 28.081 3.993 90.00 90.00 90.00
Space group Cmmm (No. 65)
Unique sites:
Ba 0.000 0.000 0.000 [2 per cell]
Ba 0.000 0.398 0.000 [4 per cell]
La 0.000 0.203 0.000 [4 per cell]
Ti 0.000 0.103 0.500 [4 per cell]
Ti 0.000 0.500 0.500 [2 per cell]
Cr 0.000 0.299 0.500 [4 per cell]
O 0.000 0.104 0.000 [4 per cell]
O 0.000 0.294 0.000 [4 per cell]
O 0.000 0.500 0.000 [2 per cell]
O 0.235 0.153 0.500 [8 per cell]
O 0.249 0.449 0.500 [8 per cell]
O 0.250 0.250 0.500 [4 per cell]

* * * * *

Calculated powder diffractogram
Compound: TaTiAl
Radiation: λ = 1.5418 Å (Cu Kα)
Structure: a structure optimized by DFT (GGA-PBE)

Main lines, by intensity (10 to 90 degrees two-theta):
d_spacing, I (rel.)
3.665, 100
2.244, 80
1.914, 50
1.296, 27
1.456, 21
3.174, 17
1.222, 16
1.587, 13
1.122, 9
1.419, 7
1.832, 5

Cell: 4.488 4.488 4.488 Å, 60.00 60.00 60.00°
Positions (direct):
Ta 0.000 0.000 0.000
Ti 0.250 0.250 0.250
Al 0.750 0.750 0.750
........

Sunday, June 28, 2020

How to Reduce Fear & Anxiety About Disease & Death

Found these steps on the Psychology Today website and I thought they were pretty good (from a non-theist point of view)

10 Tips for Reducing Health Fears.
  1. Understand that fear sells and you're being manipulated.
  2. Assess the real risk.
  3. Shield yourself from the media.
  4. Meditate.
  5. Tap into your inner knowing.
  6. Dissociate from your fear.
  7. Push the limits of your comfort zone.
  8. Affirm your courage
  9. Surround yourself with courageous people
  10. Trust the Universe (God from a Christian perspective)

The sad truth is that too many people are operating on fear and blindly taking in all the fear-mongering from social media, print media and the like.  We really need to stop, take a step back, look at all the things we still have and be grateful.  Think about the real issues and analyze facts to make decisions, not feelings.

I am not a germaphobic, hypochondriacal child

Wearing a mask when you are out and about and not sick does not make any sense. Granted, if you are going into a healthcare facility situation where there is a high prevalence of the virus then by all means wear something if you want (I don't plan to), but as a general rule walking around in public please knock it off with the masks. In those countries cited for wearing masks in public, the people that are sick are the ones wearing them. The healthy people are not wearing a mask. Wearing a mask does not prevent you from getting sick, it is meant to prevent the larger droplets from a sick person from being spread around. If you are not sick the mask does not prevent anything. Why would you put up a chain-linked fence to keep out mosquitoes? That is the scale we are talking about when it comes to the size of a virus and the size in the pores in the cloth of the typical mask people are using. If someone is immunocompromised, they should already be taking precautions since even a common cold would be trouble. Those people don't ordinarily go out into the public and mingle, and the people that do visit them stay away if there is any chance of getting them sick. There are also many studies that show that wearing a mask when you are healthy is actually detrimental to your health. Also, wearing a mask in a healthcare facility is an entirely different scenario and would be comparing apples to oranges. The masks the workers use are fitted to their face and designed to filter out virus-sized particles. They are very different from the handmade ones that are cropping up all over the place. Never in the course of human history has a disease outbreak been treated like this. History will look back and say "What a bunch of lily-livered, frightened children."